Listing.
┌──
For In2Se3, a DFT-relaxed cell (GGA-PBE, the Materials Project) gives the calculated X-ray powder pattern in this record (Cu Kα, 1.54184 Å).
Kinematic intensities with the Lorentz-polarization factor, no thermal factor.

Peak list (12 most intense, 2θ from 10° to 80°, low angle first)
| Position (°2θ) | d/Å | I/Imax | h k l |
| --- | --- | --- | --- |
| 18.27 | 4.855 | 11 | 0 0 6 |
| 24.89 | 3.577 | 9 | 1 0 1 |
| 25.46 | 3.499 | 20 | 0 1 2 |
| 27.61 | 3.231 | 100 | 1 0 4 |
| 32.87 | 2.724 | 40 | 1 0 7 |
| 42.35 | 2.134 | 38 | 0 1 11 |
| 43.49 | 2.081 | 50 | 1 1 0 |
| 47.79 | 1.903 | 16 | 1 0 13 |
| 52.28 | 1.750 | 25 | 0 2 4 |
| 62.32 | 1.490 | 12 | 2 0 11 |
| 70.30 | 1.339 | 12 | 2 1 4 |
| 79.05 | 1.211 | 12 | 1 2 11 |

Structural model:
a b c (Å): 4.1618 4.1618 29.1318
angles (deg): 90.00 90.00 120.00
Space group R3m (No. 160, hexagonal axes)
Asymmetric unit:
In 0.0000 0.0000 0.0000 x3
In 0.0000 0.0000 0.4636 x3
Se 0.0000 0.0000 0.1728 x3
Se 0.0000 0.0000 0.7133 x3
Se 0.0000 0.0000 0.9145 x3

----------

1.
For NbO2F, the PBE geometry in the Materials Project gives the calculated powder diffractogram in this record (Cu Kα X-rays).
No peak broadening, texture or thermal motion is included.

Largest 6 diffraction maxima, low angle first, 5 to 70 degrees two-theta:
| Position (°2θ) | I_rel |
| --- | --- |
| 22.6 | 100 |
| 23.2 | 48 |
| 32.3 | 22 |
| 32.9 | 17 |
| 46.2 | 21 |
| 52.7 | 19 |

Atomic structure:
Unit cell a=5.6250 b=5.5055 c=7.6763 alpha=90.00 beta=91.66 gamma=90.00
Space group P2/c (No. 13)
Unique sites:
Nb (0.0000, 0.0000, 0.0000) x2
Nb (0.5000, 0.5000, 0.0000) x2
O (0.0000, 0.0679, 0.2500) x2
O (0.2198, 0.2804, 0.9701) x4
O (0.5000, 0.4320, 0.2500) x2
F (0.2949, 0.2052, 0.5497) x4

2.
For Nb3O7F, the PBE geometry in the Materials Project gives the calculated powder diffractogram in this record (Cu Kα X-rays).
No peak broadening, texture or thermal motion is included.

Largest 6 diffraction maxima, low angle first, 5 to 70 degrees two-theta:
| Position (°2θ) | I_rel |
| --- | --- |
| 22.3 | 100 |
| 23.2 | 78 |
| 25.3 | 54 |
| 31.2 | 44 |
| 32.4 | 30 |
| 34.0 | 26 |

Atomic structure:
Unit cell a=3.9011 b=21.0811 c=3.9893 alpha=90.00 beta=90.00 gamma=90.00
Space group Cmmm (No. 65)
Unique sites:
Nb (0.0000, 0.0000, 0.0000) x2
Nb (0.0000, 0.1845, 0.0000) x4
O (0.0000, 0.0930, 0.0000) x4
O (0.0000, 0.1855, 0.5000) x4
O (0.0000, 0.2907, 0.0000) x4
O (0.0000, 0.5000, 0.0000) x2
F (0.0000, 0.0000, 0.5000) x2

3.
For Nb5OF14, the PBE geometry in the Materials Project gives the calculated powder diffractogram in this record (Cu Kα X-rays).
No peak broadening, texture or thermal motion is included.

Largest 6 diffraction maxima, low angle first, 5 to 70 degrees two-theta:
| Position (°2θ) | I_rel |
| --- | --- |
| 21.3 | 100 |
| 21.5 | 48 |
| 30.4 | 33 |
| 43.3 | 25 |
| 48.7 | 20 |
| 48.8 | 20 |

Atomic structure:
Unit cell a=5.8748 b=7.2080 c=9.3339 alpha=74.52 beta=71.84 gamma=89.41
Space group P-1 (No. 2)
Unique sites:
Nb (0.0000, 0.0000, 0.0000) x1
Nb (0.1867, 0.8163, 0.5909) x2
Nb (0.4035, 0.5962, 0.2014) x2
O (0.0000, 0.0000, 0.5000) x1
F (0.0963, 0.3991, 0.3010) x2
F (0.1015, 0.8986, 0.7988) x2
F (0.2005, 0.7999, 0.1004) x2
F (0.2975, 0.1994, 0.9006) x2
F (0.3003, 0.6990, 0.4001) x2
F (0.3952, 0.6054, 0.6974) x2
F (0.5000, 0.0000, 0.5000) x1
F (0.5000, 0.5000, 0.0000) x1

4.
For Nb3O2F5, the PBE geometry in the Materials Project gives the calculated powder diffractogram in this record (Cu Kα X-rays).
No peak broadening, texture or thermal motion is included.

Largest 6 diffraction maxima, low angle first, 5 to 70 degrees two-theta:
| Position (°2θ) | I_rel |
| --- | --- |
| 12.7 | 30 |
| 13.2 | 100 |
| 18.2 | 22 |
| 25.6 | 28 |
| 32.4 | 21 |
| 40.1 | 36 |

Atomic structure:
Unit cell a=8.1537 b=13.4113 c=6.0692 alpha=90.00 beta=90.00 gamma=90.00
Space group Pnnm (No. 58)
Unique sites:
Nb (0.0198, 0.1285, 0.0000) x4
Nb (0.2379, 0.2377, 0.2197) x8
O (0.0111, 0.7691, 0.2439) x8
F (0.0000, 0.0000, 0.2078) x4
└──

What to do.
Could you copy everything further above without altering anything?

Reply.
For In2Se3, a DFT-relaxed cell (GGA-PBE, the Materials Project) gives the calculated X-ray powder pattern in this record (Cu Kα, 1.54184 Å).
Kinematic intensities with the Lorentz-polarization factor, no thermal factor.

Peak list (12 most intense, 2θ from 10° to 80°, low angle first)
| Position (°2θ) | d/Å | I/Imax | h k l |
| --- | --- | --- | --- |
| 18.27 | 4.855 | 11 | 0 0 6 |
| 24.89 | 3.577 | 9 | 1 0 1 |
| 25.46 | 3.499 | 20 | 0 1 2 |
| 27.61 | 3.231 | 100 | 1 0 4 |
| 32.87 | 2.724 | 40 | 1 0 7 |
| 42.35 | 2.134 | 38 | 0 1 11 |
| 43.49 | 2.081 | 50 | 1 1 0 |
| 47.79 | 1.903 | 16 | 1 0 13 |
| 52.28 | 1.750 | 25 | 0 2 4 |
| 62.32 | 1.490 | 12 | 2 0 11 |
| 70.30 | 1.339 | 12 | 2 1 4 |
| 79.05 | 1.211 | 12 | 1 2 11 |

Structural model:
a b c (Å): 4.1618 4.1618 29.1318
angles (deg): 90.00 90.00 120.00
Space group R3m (No. 160, hexagonal axes)
Asymmetric unit:
In 0.0000 0.0000 0.0000 x3
In 0.0000 0.0000 0.4636 x3
Se 0.0000 0.0000 0.1728 x3
Se 0.0000 0.0000 0.7133 x3
Se 0.0000 0.0000 0.9145 x3

----------

1.
For NbO2F, the PBE geometry in the Materials Project gives the calculated powder diffractogram in this record (Cu Kα X-rays).
No peak broadening, texture or thermal motion is included.

Largest 6 diffraction maxima, low angle first, 5 to 70 degrees two-theta:
| Position (°2θ) | I_rel |
| --- | --- |
| 22.6 | 100 |
| 23.2 | 48 |
| 32.3 | 22 |
| 32.9 | 17 |
| 46.2 | 21 |
| 52.7 | 19 |

Atomic structure:
Unit cell a=5.6250 b=5.5055 c=7.6763 alpha=90.00 beta=91.66 gamma=90.00
Space group P2/c (No. 13)
Unique sites:
Nb (0.0000, 0.0000, 0.0000) x2
Nb (0.5000, 0.5000, 0.0000) x2
O (0.0000, 0.0679, 0.2500) x2
O (0.2198, 0.2804, 0.9701) x4
O (0.5000, 0.4320, 0.2500) x2
F (0.2949, 0.2052, 0.5497) x4

2.
For Nb3O7F, the PBE geometry in the Materials Project gives the calculated powder diffractogram in this record (Cu Kα X-rays).
No peak broadening, texture or thermal motion is included.

Largest 6 diffraction maxima, low angle first, 5 to 70 degrees two-theta:
| Position (°2θ) | I_rel |
| --- | --- |
| 22.3 | 100 |
| 23.2 | 78 |
| 25.3 | 54 |
| 31.2 | 44 |
| 32.4 | 30 |
| 34.0 | 26 |

Atomic structure:
Unit cell a=3.9011 b=21.0811 c=3.9893 alpha=90.00 beta=90.00 gamma=90.00
Space group Cmmm (No. 65)
Unique sites:
Nb (0.0000, 0.0000, 0.0000) x2
Nb (0.0000, 0.1845, 0.0000) x4
O (0.0000, 0.0930, 0.0000) x4
O (0.0000, 0.1855, 0.5000) x4
O (0.0000, 0.2907, 0.0000) x4
O (0.0000, 0.5000, 0.0000) x2
F (0.0000, 0.0000, 0.5000) x2

3.
For Nb5OF14, the PBE geometry in the Materials Project gives the calculated powder diffractogram in this record (Cu Kα X-rays).
No peak broadening, texture or thermal motion is included.

Largest 6 diffraction maxima, low angle first, 5 to 70 degrees two-theta:
| Position (°2θ) | I_rel |
| --- | --- |
| 21.3 | 100 |
| 21.5 | 48 |
| 30.4 | 33 |
| 43.3 | 25 |
| 48.7 | 20 |
| 48.8 | 20 |

Atomic structure:
Unit cell a=5.8748 b=7.2080 c=9.3339 alpha=74.52 beta=71.84 gamma=89.41
Space group P-1 (No. 2)
Unique sites:
Nb (0.0000, 0.0000, 0.0000) x1
Nb (0.1867, 0.8163, 0.5909) x2
Nb (0.4035, 0.5962, 0.2014) x2
O (0.0000, 0.0000, 0.5000) x1
F (0.0963, 0.3991, 0.3010) x2
F (0.1015, 0.8986, 0.7988) x2
F (0.2005, 0.7999, 0.1004) x2
F (0.2975, 0.1994, 0.9006) x2
F (0.3003, 0.6990, 0.4001) x2
F (0.3952, 0.6054, 0.6974) x2
F (0.5000, 0.0000, 0.5000) x1
F (0.5000, 0.5000, 0.0000) x1

4.
For Nb3O2F5, the PBE geometry in the Materials Project gives the calculated powder diffractogram in this record (Cu Kα X-rays).
No peak broadening, texture or thermal motion is included.

Largest 6 diffraction maxima, low angle first, 5 to 70 degrees two-theta:
| Position (°2θ) | I_rel |
| --- | --- |
| 12.7 | 30 |
| 13.2 | 100 |
| 18.2 | 22 |
| 25.6 | 28 |
| 32.4 | 21 |
| 40.1 | 36 |

Atomic structure:
Unit cell a=8.1537 b=13.4113 c=6.0692 alpha=90.00 beta=90.00 gamma=90.00
Space group Pnnm (No. 58)
Unique sites:
Nb (0.0198, 0.1285, 0.0000) x4
Nb (0.2379, 0.2377, 0.2197) x8
O (0.0111, 0.7691, 0.2439) x8
F (0.0000, 0.0000, 0.2078) x4